Serpent's Kiss
Dare groaned. His shoulder hurt, his lower back was screaming at him to please find it a heating pad or some ice, either one, it wasn’t going to be picky, and to top things off, his Ex had been blowing up his cell phone for the past two hours, leaving rambling streams of profanities between begging and threats. All in all it had been a shit day and all Dare wanted was to fall on his couch, pop some painkillers and wash them down with an ice cold beer. From that point he didn’t really care what was on TV as long as the background noise drowned out reality. He’d about had it with reality for the day.
His keys clattered when they hit the battered end table, and in a rustle of leather he’d shed his jacket and dumped it on a chair. He pulled his gun from the holster on his back, checked that the safety was on and laid it on top of the jacket, shedding the holster next and then the leather throng that held his long hair back. Heavy, silken waves of black, red and gold shimmered as they spilled around his face and he rubbed at his temples, glad that the heavy mass was no longer pulling at them.
It was seven steps to the kitchen and he yanked the beer from the fridge as he was yanking open the drawer where he kept his Vicodin. The beer he used the edge of the counter to open, the sudden action sending a riot of pain reverberating up his arm. Two wasn’t going to cut it tonight, so he quickly shook three pills from the bottle and eyed how many were left. Son of a bitch, he was gonna have to go back to the docs and soon, that or him and Mr. Daniels and Mr. Morgan were gonna be getting far more up close and personal than they usually did.
~~~
1.
ORCA calculation (the ωB97M-V functional and the def2-TZVPD basis) on a 6-piece molecular cluster, C8H28N8O6 overall in a non-equilibrium geometry.

Geometry as ORCA input:
```
! RIJCOSX wB97M-V def2-TZVPD def2/J DEFGRID3
* xyz 0 1
C -21.1053 -1.9072 12.0446
C -20.0027 -1.2878 11.0958
O -20.5306 -0.1752 10.4298
H -21.6218 -1.2666 12.7595
H -20.7614 -2.7300 12.6712
H -21.9167 -2.1464 11.3572
H -19.7256 -2.0107 10.3286
H -19.1536 -1.0860 11.7487
H -21.1176 0.2260 11.0748
C -24.2736 -3.4669 5.7408
C -23.6005 -2.2698 6.3971
O -22.2645 -2.6172 6.6288
H -24.1454 -4.3634 6.3475
H -23.7598 -3.7591 4.8250
H -25.3344 -3.4195 5.4950
H -24.1334 -2.0187 7.3142
H -23.5827 -1.4399 5.6906
H -21.9248 -2.8855 5.7719
C -25.0568 2.8846 4.1607
O -25.4081 3.3613 3.1206
N -25.3241 3.4864 5.3124
N -24.4004 1.7357 4.2460
H -25.0283 3.0879 6.1921
H -25.7108 4.4156 5.2283
H -24.0694 1.0550 3.5772
H -24.1877 1.6071 5.2249
C -26.0752 -1.0122 9.2323
O -26.9989 -1.6396 9.7138
N -24.8724 -1.1897 9.6468
N -26.0409 -0.1787 8.2198
H -24.2400 -0.4206 9.4774
H -24.8547 -1.7637 10.4777
H -26.8440 -0.1518 7.6079
H -25.1008 0.0254 7.9122
C -22.6645 1.0876 7.8693
O -23.5935 1.3152 7.1904
N -22.2051 1.9830 8.6549
N -22.0873 -0.0814 8.0425
H -21.3544 1.7480 9.1460
H -22.4782 2.9264 8.4195
H -21.4508 -0.1934 8.8187
H -22.2722 -0.8560 7.4213
C -20.8854 -5.0119 9.3246
O -20.2196 -5.8545 9.8575
N -22.1709 -4.9945 9.5700
N -20.5580 -4.1412 8.4218
H -22.3468 -5.4817 10.4371
H -22.8317 -4.3590 9.1464
H -19.6980 -4.3723 7.9454
H -21.2689 -3.5751 7.9812
*
```

The value obtained for the LUMO energy is 0.0115 eV. As for the structure (SMILES): NC(N)=O.NC(N)=O.NC(N)=O.NC(N)=O.CCO.CCO. For the molecular weight, the calculation gives 332.36 g/mol.

2.
ORCA calculation (the ωB97M-V functional and the def2-TZVPD basis) on a single C7H12 molecule in a non-equilibrium geometry.

Geometry as ORCA input:
```
! RIJCOSX wB97M-V def2-TZVPD def2/J DEFGRID3
* xyz 0 1
C -2.4449 0.5493 0.2860
C -1.3676 -0.5039 0.0090
C -0.1087 -0.3581 -1.2650
C 0.8592 -0.1915 -0.1042
C 2.3879 -0.3574 -0.1061
C 1.7599 0.9853 0.0066
C -0.1669 -0.5129 0.9826
H -3.2437 0.4850 -0.4600
H -1.9806 1.5285 0.2044
H -2.8996 0.4829 1.2941
H -1.8642 -1.4999 -0.0407
H -0.2135 -1.3196 -1.7751
H 0.1957 0.3577 -2.0779
H 2.8728 -0.5923 -1.0584
H 2.7898 -0.8497 0.7776
H 1.8706 1.6275 -0.8598
H 1.7897 1.4301 0.9875
H -0.2217 0.2368 1.7810
H -0.0142 -1.4976 1.4183
*
```

The value obtained for the LUMO energy is 1.1371 eV. As for the structure (SMILES): CC1CC2(CC2)C1. For the molecular weight, the calculation gives 96.17 g/mol.

3.
ORCA calculation (the ωB97M-V functional and the def2-TZVPD basis) on a single C5H11NO molecule.

Geometry as ORCA input:
```
! RIJCOSX wB97M-V def2-TZVPD def2/J DEFGRID3
* xyz 0 1
C 1.4641 -2.0962 0.6443
C 0.1276 -1.3600 0.5869
C 0.1617 0.0223 1.2758
N 0.0122 1.1281 0.3432
C -1.1639 1.2839 -0.3272
O -2.1638 0.6519 -0.0259
C -1.1330 2.2393 -1.5020
H 1.4314 -3.0231 0.0642
H 2.2720 -1.4759 0.2388
H 1.7333 -2.3642 1.6723
~~~
As he turned around, already debating which would be the better option, a quick, questionless trip to the liquor store or thirty minutes parked on his ass in a waiting room and another thirty-forty dealing with his doc, who also happened to be his brother. God he wished Dami would give him a break with all the questions ‘cause his brother’s cerulean stare and folded arms never failed to crack Dare just a little, or maybe what cracked him open and spilled his secrets upon the floor was that looking at Dami was like looking at everything he was supposed to be, if he hadn’t been born damaged and flawed.
Records of molecules from another source follow.
- - -
Entry 1:
Here is a 9-piece molecular cluster, C36H72O9 overall in a non-equilibrium geometry from the OMol25 dataset. Energies are from ωB97M-V/def2-TZVPD.

Each line ends with the Mulliken charge.
Element x y z (Å)
C -1.734 4.212 -5.375  -0.637
C -1.858 3.992 -3.853  -1.355
C -0.543 3.594 -3.396  1.867
O 0.217 4.500 -4.173  -0.477
C -0.263 4.683 -5.549  -0.577
H -2.514 4.921 -5.652  0.517
H -1.783 3.274 -5.927  0.185
H -2.637 3.286 -3.564  0.389
H -2.002 4.964 -3.382  0.503
H -0.339 2.527 -3.482  -0.404
H -0.376 3.845 -2.348  -0.476
H 0.472 4.120 -6.125  0.243
H -0.181 5.750 -5.757  0.249
C -2.720 -1.468 5.018  -0.486
C -3.055 -2.938 5.037  -0.767
C -1.790 -3.598 4.545  -0.217
O -0.827 -2.488 4.434  -0.352
C -1.471 -1.266 4.229  0.951
H -2.449 -1.322 6.064  0.348
H -3.562 -0.831 4.748  0.220
H -3.893 -3.046 4.349  0.288
H -3.507 -3.179 5.999  0.402
H -1.939 -3.924 3.516  -0.028
H -1.364 -4.400 5.149  0.320
H -1.707 -1.110 3.176  -0.794
H -0.964 -0.340 4.501  0.045
C 0.674 1.272 -1.089  -0.727
C 1.203 0.066 -0.308  1.076
C 0.390 0.069 0.937  1.305
O 0.280 1.455 1.152  -0.084
C 0.464 2.299 -0.043  -0.715
H -0.177 1.170 -1.763  -0.227
H 1.553 1.574 -1.659  0.551
H 2.286 0.010 -0.194  -0.118
H 0.992 -0.757 -0.990  -0.367
H 0.659 -0.524 1.811  0.362
H -0.565 -0.351 0.620  -1.279
H 1.414 2.825 -0.137  0.047
H -0.427 2.866 -0.314  -0.192
C 4.098 -1.702 1.743  0.403
C 5.385 -1.421 1.007  -0.671
C 5.880 -0.146 1.598  -0.603
O 4.780 0.369 2.286  -0.332
C 4.004 -0.712 2.827  -0.337
H 4.044 -2.756 2.015  0.540
H 3.227 -1.565 1.102  -0.547
H 5.079 -1.195 -0.014  0.225
H 6.050 -2.266 0.828  0.471
H 6.225 0.570 0.852  0.345
H 6.696 -0.232 2.315  0.275
H 3.075 -0.178 3.026  -0.038
H 4.329 -1.096 3.794  0.283
C 0.194 0.349 -5.475  0.298
C -0.331 -0.546 -4.447  1.273
C 0.180 -1.937 -4.754  -0.434
O 1.227 -1.746 -5.704  -0.307
C 0.790 -0.606 -6.442  -0.747
H 0.959 0.934 -4.965  0.184
H -0.514 1.045 -5.923  -0.324
H -1.411 -0.451 -4.335  0.339
H 0.071 -0.330 -3.457  -1.438
H -0.572 -2.512 -5.295  0.284
H 0.481 -2.388 -3.809  0.073
H 0.138 -0.967 -7.238  0.344
H 1.677 -0.117 -6.845  0.387
C 1.592 -5.070 -2.612  -0.868
C 2.047 -4.003 -1.539  0.227
C 3.500 -4.438 -1.293  -0.455
O 3.939 -5.039 -2.561  -0.393
C 2.851 -5.290 -3.464  -0.418
H 0.597 -4.992 -3.050  0.375
H 1.538 -6.034 -2.107  0.447
H 1.374 -3.971 -0.682  0.351
H 1.938 -3.026 -2.010  -0.183
H 3.500 -5.219 -0.533  0.295
H 4.181 -3.710 -0.853  0.034
H 2.880 -6.329 -3.792  0.340
H 2.841 -4.647 -4.343  0.217
C -3.813 3.046 2.891  -0.258
C -3.718 2.932 1.367  -0.891
C -3.601 1.380 1.321  0.934
O -4.483 0.929 2.311  -0.255
C -4.644 1.864 3.393  -0.872
H -4.221 4.000 3.223  0.648
H -2.842 3.059 3.386  -0.300
H -2.824 3.340 0.896  0.210
H -4.501 3.341 0.729  0.586
H -2.540 1.203 1.497  -0.308
H -3.988 1.247 0.311  -0.129
H -4.206 1.619 4.360  0.292
H -5.689 2.131 3.551  0.305
C 1.171 3.140 4.744  -0.318
C 2.622 3.360 4.185  -0.472
C 2.366 4.003 2.892  0.060
O 1.166 4.727 2.949  -0.447
C 0.247 3.972 3.764  0.347
- - -
End of the records of molecules.
He caught sight of his mismatched eyes in the mirror as he headed to the living room, desperate to put the day behind him. As always, seeing those eyes reminded him of how defective he really was, and not just on the outside, but the inside too. His green eye was blind, save for those moments when it decided to peer into the soul of another and bring their future roaring like a waterfall of images through his head.
The twisted part of him, the cold, sick, sadistic nature that set him apart as much as his stare, loved when those images spelled out pain, misfortune, and death, death was a high that left him not needing the drugs of the bottle gods. What kind of monster fed off the hurt of others the way vampires fed off blood, hell, he was worse than any bloodsucker, at least they spared their victims pain when they could, left them with pleasant, sometimes even erotic memories and licked the wound closed to hide where it had been. Him, he just busted lives open wide, sucking in all that delicious fear, doubt, paranoia, oh god but he loved when he got the paranoid ones, he’d fuck with them for days before allowing the visions to play out the way they were supposed to. Drop them a little hint here, a little clue there, let them known disaster was breathing down their necks and watch as they scrambled to do everything in their power to avoid it. Only there was never anything that they could do.
-- Attached: molecular data --
A cluster of 11 separate species, C37H70O17S2 in total at a distorted geometry. Source: OMol25; level of theory: the ωB97M-V functional and the def2-TZVPD basis.

The HOMO energy comes out at -0.3389 Eh. The frontier orbital gap is 9.370 eV.

```
! RIJCOSX wB97M-V def2-TZVPD def2/J DEFGRID3
* xyz 0 1
C -5.068 5.063 -6.444
C -5.229 4.870 -4.928
C -3.918 4.561 -4.257
O -3.973 5.281 -3.121
C -4.959 6.170 -3.147
O -5.121 7.009 -2.274
O -5.690 5.990 -4.221
H -6.043 4.899 -6.902
H -4.356 4.439 -6.984
H -4.850 6.104 -6.682
H -5.921 4.042 -4.777
H -3.090 4.791 -4.927
H -3.898 3.489 -4.060
C 4.993 4.120 5.319
C 3.770 4.883 5.811
C 4.040 6.202 6.523
O 3.245 7.140 5.872
C 2.787 6.665 4.748
O 2.059 7.332 4.021
O 3.127 5.320 4.680
H 4.723 3.284 4.674
H 5.524 3.736 6.190
H 5.657 4.845 4.849
H 3.132 4.234 6.410
H 5.096 6.473 6.517
H 3.836 6.040 7.581
O 5.067 3.138 -3.898
S 5.363 4.561 -3.644
O 6.666 5.075 -4.090
C 4.028 5.564 -4.494
C 3.913 6.781 -3.573
C 3.823 6.279 -2.124
C 4.819 5.123 -1.905
H 3.090 5.050 -4.286
H 4.160 5.704 -5.567
H 4.791 7.405 -3.741
H 3.132 7.460 -3.914
H 2.808 5.906 -1.983
H 3.949 7.063 -1.378
H 4.436 4.210 -1.448
H 5.778 5.394 -1.463
O -1.969 -6.786 -0.504
S -2.917 -7.884 -0.232
O -4.345 -7.727 -0.293
C -2.285 -9.467 -0.961
C -1.330 -10.119 0.063
C -1.427 -9.417 1.453
C -2.630 -8.516 1.480
H -1.832 -9.192 -1.913
H -3.165 -10.079 -1.160
H -1.623 -11.164 0.170
H -0.318 -9.986 -0.318
H -0.447 -8.948 1.551
H -1.433 -10.152 2.257
H -2.603 -7.616 2.094
H -3.573 -8.998 1.739
C 1.010 -1.805 2.135
C -0.135 -0.787 2.190
C -0.093 0.348 1.141
O -1.088 -0.917 2.967
H 0.690 -2.458 1.323
H 1.110 -2.307 3.097
H 2.001 -1.404 1.921
H 0.600 -0.020 0.384
H 0.231 1.337 1.464
H -1.048 0.438 0.622
C -7.469 -0.197 -1.566
C -8.303 0.956 -0.926
C -9.687 1.196 -1.489
O -7.849 1.706 -0.097
H -6.845 0.183 -2.375
H -8.039 -0.988 -2.054
H -6.858 -0.675 -0.800
H -10.002 2.214 -1.262
H -10.405 0.540 -0.998
H -9.813 0.998 -2.554
C 1.296 -4.932 9.853
C 0.562 -5.273 8.605
C -0.859 -4.710 8.460
O 1.118 -5.979 7.747
H 2.345 -5.229 9.874
H 0.715 -5.424 10.633
H 1.198 -3.853 9.970
H -1.560 -5.386 8.950
H -1.349 -4.731 7.486
H -0.898 -3.677 8.805
C -3.459 -2.917 -8.296
C -2.986 -1.966 -7.253
C -1.731 -2.286 -6.579
O -3.681 -0.926 -7.063
H -4.541 -2.900 -8.426
H -3.215 -3.946 -8.030
H -2.985 -2.766 -9.266
H -1.536 -1.545 -5.804
H -0.976 -2.394 -7.358
H -1.762 -3.277 -6.125
C 3.830 -5.431 -3.495
C 3.757 -6.809 -2.882
C 4.529 -6.970 -1.553
O 3.272 -7.768 -3.463
H 3.365 -4.748 -2.784
H 3.092 -5.506 -4.294
H 4.777 -5.150 -3.955
H 4.882 -7.999 -1.479
H 3.905 -6.867 -0.665
H 5.389 -6.301 -1.535
C 8.988 -1.090 -1.340
C 8.663 -0.033 -0.272
C 9.745 0.925 0.162
O 7.530 -0.042 0.264
H 8.376 -0.907 -2.223
H 8.780 -2.099 -0.982
H 10.039 -0.958 -1.597
H 9.426 1.608 0.949
H 10.148 1.439 -0.711
H 10.618 0.378 0.518
C -6.260 5.894 4.430
C -4.883 5.582 4.896
C -3.983 4.882 3.975
O -4.439 5.966 5.986
H -6.246 6.748 3.753
H -6.892 6.234 5.251
H -6.756 5.039 3.971
H -4.431 4.514 3.052
He was caught between self-loathing and longing for just the kind of paranoid son of a bitch that might help him forget this day when his eyes landed on his couch. Sitting where he’d planned to drop his ass and rest was a woman with blood diamond scales running down her arms and the brightest ruby eyes he had ever seen. Crimson lips parted to reveal a pair of brilliant white fangs and her hair was the color of sunsets, all red and orange hues spilling down her back. A pattern of scales ran up her forehead like a widow’s peak, and covered her cheekbones. Her ears were mere slits set against the silver and red prismatic colors and when she turned, he was sure he heard rattling and looked down to see a snakes tail coiled on his plush leather cushions.